M is for Musings

There's been some major changes in my family's lives lately.  My wife and I having an empty nest after our youngest joined her older sister at Texas A&M University; my oldest making plans to get into a graduate program; and being the recipient of a scholarship for a School Principal program are some of the major ones.  Although these changes are for the good of our family, they have been challenging, nevertheless.  How we are going to manage stress, finances and other logistics are just a few of the issues that have become points to ponder.  Being a man of faith, I have found comfort in the following Bible verses:

Paper Jack-o-Lanterns
Tim Holtz Mini-Tag, Pumpkin, Easel & Carving dies; Various Packaging Cardboard; Printed Scraps of paper; Paper Cording; Stickles & More.
Simon Says Stamp Monday Challenge - Finishing Touch
Rhedd's Creative Spirit: October Challenge - Halloween
Julia's What's On Your Workdesk? Wednesday #279
To every thing there is a season,
and a time to every purpose under the heaven."  Ecclesiastes 3:1

## Misplaced records of crystals
____________
No. 1
Below is crystalline Cs2RbIF6 at its relaxed geometry, with properties calculated at the PBE level.

It has space group I4/mmm (No. 139), with a = 7.297 Å, b = 7.297 Å, c = 9.458 Å, α = 90.00°, β = 90.00° and γ = 90.00°. The distinct sites, in fractional coordinates, are Cs at (0.000, 0.500, 0.250), Rb at (0.000, 0.000, 0.000), I at (0.000, 0.000, 0.500), F at (0.000, 0.000, 0.283) and F at (0.241, 0.241, 0.500).

The value obtained for the polymorph energy (0 for the lowest one) is 16.68 kJ/mol of atoms.

No. 2
Below is crystalline Cs3ReI2F6 at its relaxed geometry, with properties calculated at the PBE level.

It has space group C2/m (No. 12), with a = 17.577 Å, b = 8.427 Å, c = 6.069 Å, α = 90.00°, β = 90.96° and γ = 90.00°. The distinct sites, in fractional coordinates, are Cs at (0.000, 0.000, 0.000), Cs at (0.250, 0.250, 0.500), Re at (0.000, 0.500, 0.500), I at (0.208, 0.000, 0.998), F at (0.002, 0.336, 0.719) and F at (0.111, 0.500, 0.497).

No. 3
Below is crystalline Cs2RhI6F at its relaxed geometry, with properties calculated at the PBE level.

It has space group I4/mmm (No. 139), with a = 7.642 Å, b = 7.642 Å, c = 12.942 Å, α = 90.00°, β = 90.00° and γ = 90.00°. The distinct sites, in fractional coordinates, are Cs at (0.000, 0.500, 0.250), Rh at (0.000, 0.000, 0.000), I at (0.000, 0.000, 0.209), I at (0.248, 0.248, 0.500) and F at (0.000, 0.000, 0.500).

No. 4
Below is crystalline Cs2RuIF6 at its relaxed geometry, with properties calculated at the PBE level.

It has space group I4/mmm (No. 139), with a = 7.199 Å, b = 7.199 Å, c = 10.108 Å, α = 90.00°, β = 90.00° and γ = 90.00°. The distinct sites, in fractional coordinates, are Cs at (0.000, 0.500, 0.250), Ru at (0.000, 0.000, 0.000), I at (0.000, 0.000, 0.500), F at (0.000, 0.000, 0.191) and F at (0.190, 0.190, 0.000).

Number 1: formation energy (no corrections) -2056 meV per atom, total magnetic moment 2.0 μB per formula unit, D(E_F) 0.00 states/eV per atom. Number 2: formation energy (no corrections) -2071 meV per atom, total magnetic moment 2.1 μB per formula unit, D(E_F) 1.23 states/eV per atom. Number 3: formation energy (no corrections) -785 meV per atom, total magnetic moment 0.0 μB per formula unit, D(E_F) 0.65 states/eV per atom. Number 4: formation energy (no corrections) -1969 meV per atom, total magnetic moment 3.1 μB per formula unit, D(E_F) 1.02 states/eV per atom.

=====

A plane-wave DFT calculation with SCAN was carried out for a crystal of YP3O9 relaxed with PBEsol.

**Crystal system**: monoclinic
**Offset from the most stable computed form**: 0.000 eV per atom

Lattice parameters (Å, degrees): 7.0018 9.7125 11.0471 90.00 91.90 90.00
Last column: nearest neighbours and their distance in Å.
Positions (direct):
O: 0.2211 0.9090 0.1627  1 P 1.49
O: 0.7789 0.4090 0.8373  1 P 1.49
O: 0.7789 0.0910 0.8373  1 P 1.49
O: 0.2211 0.5910 0.1627  1 P 1.49
O: 0.8278 0.0854 0.1212  1 P 1.50
O: 0.1722 0.5854 0.8788  1 P 1.50
O: 0.1722 0.9146 0.8788  1 P 1.50
____________

Silent Auction Tags
Pen Hand Lettering and Marker Sketch
Alexandra's Sunday Sketches
Karen's Word Art Wednesday #153
Eva & Kristin's Paint Party Friday - Week 31 Year 4
The heart of the prudent acquires knowledge; and the ear of the wise seeks knowledge."  Proverbs 18:15

[Here the text breaks off for materials data]
+++
(1)
{"formula": "AgC2", "functional": "PBE-GGA", "state": "relaxed", "lattice_angstrom": [[1.818, 0.890, 2.757], [-2.143, 2.247, -1.433], [-5.558, -2.459, 4.458]], "species": ["Ag", "Ag", "C", "C", "C", "C"], "fractional_positions": [[0.000, 0.000, 0.000], [0.000, 0.000, 0.500], [0.667, 0.333, 0.334], [0.333, 0.667, 0.834], [0.667, 0.333, 0.166], [0.333, 0.667, 0.666]], "delta_e_f_ev_per_atom": 1.62, "total_energy_ev_per_cell": -32.87}

***

(2)
{"formula": "LaBi3Cl", "functional": "PBE-GGA", "state": "relaxed", "lattice_angstrom": [[5.515, 0.000, 0.000], [0.000, 5.515, 0.000], [0.000, 0.000, 5.515]], "species": ["Cl", "Bi", "Bi", "Bi", "La"], "fractional_positions": [[0.000, 0.000, 0.000], [0.000, 0.000, 0.500], [0.000, 0.500, 0.000], [0.500, 0.000, 0.000], [0.500, 0.500, 0.500]], "total_energy_ev_per_cell": -18.82, "e_form_raw_ev_per_fu": -0.4}

***

no.,excess energy over the best structure of this formula in the dataset (meV per atom),Fermi-level density of states (states/eV per cell)
1,1289.4,3.66
2,0.0,3.43
+++

Texas Hill Country
iPhone Shot
Ramona's Inspire Me Monday #144
Denise, Roger & Leslie's ABC Wednesday- M is for Musings
Bella's 52 Photo Project - Gallery 23 {Landscape}
"Be not afraid, just believe."  Mark 5:36

May these Biblical musings also bring you strength, courage and wisdom in whatever endeavors you may be undertaking.


Tenia Nelson said…
Love your projects and everything will be a ok if you trust in the Lord!!! :) I am a person of faith too!! :)
Michelle said…
Wonderful project! The diagonal stripes are so whimsical and fun. Very creative! And the little "stems" are brilliant!Thank you for sharing your work with us this week for the Simon Says Stamp Monday Challenge.

And on a personal note...Congratulations to your Daughter! What a wonderful accomplishment! As an empty-nester myself, I understand that it creates a bit of turmoil for everyone in the family during this transition period. My thoughts and prayers will be with you all. ~Michelle
Donna B. said…
Those jack-o-lanterns are so fun. I love those dies and how you paper pieced them. The tags are gorgeous. I love that verse. Best wishes!
Suzanne C said…
What lovely verses you shared and they are very inspiring. I love your pumpkins and the bluebonnets! Beautiful! Thank you for playing along with us at Simon Says Stamp Monday Challenge!
Christine said…
wonderful projects this week Arnoldo and good luck with all your life changes.
Valerie-Jael said…
Yes, sometimes we need to cope with different things, and I am sure you will get used to the empty nest sooner or later. Have a good week, Valerie
Erica said…
Oh yes, Halloween is coming indeed) ! Nice
Netty said…
I love your happy Pumpkins and beautiful tags, great words my friend.
Annette x

Debbie said…
Great choices in verses to meditate on, thank you. Also, love your pumpkins, tags and the pic you shared.
Unknown said…
Having an empty nest can be a challenge at first. As my girls are growing up and spending more time with friends, I am having a hard time adjusting. I cannot image what you are going through.
Unknown said…
What jolly pumpkins!! Many thanks for joining the Rhedd's Creative Spirit challenge and good luck!!! Melissa (DT)
Lisabella Russo said…
I love your tags, the pumpkins are very cute, and the photo is beautiful. Amazing how good camera phones are these days! Change can be difficult, but it sounds like you have a great perspective!
Unknown said…
Thinking and praying for you and your family during these changes and challenges. I pray for peace to fill you and your home.

I LOVE your pumpkins. So utterly cute and your tags are lovely. Thank you for popping on board SS. Love having you. :)
Such lovely projects! Also enjoy the patterning on the pumpkins!
TwinkleToes2day said…
Your images are wonderful. I think Faith gives us the strength to look at things in a more 'glass half full' manner - well it does for me. Your choice of Ecclesiastes 3:1 is just perfect. I wish you strength for everyday. :o))
Excelente post....
carol l mckenna said…
One of my favorite scriptures! Lovely and creative pumpkins ~ Love them and great post for M~ Happy Week to you!

artmusedog and carol (A Creative Harbor)
Sandra Wright. said…
Loving you Pumpkins...perfect for our challenge over at Rhedd's Creative Spirit...Thank you for joining in with our October challenge...x
Uppal said…
Designed pumpkins for the coming Halloween festival seem ready to participate in the fun!
Reader Wil said…
Don't worry: your daughters will be fine! I know the feeling. We worried a lot about our children, but they turned out to be sensible and caring adults.
Thanks for your visit and comment.
God bless you.
Wil, ABCW Team.
Congratulations on raising such responsible young people. Give the rest to God. He will see you through. Love the photo and the jack-o-lantern project. are those blu bonnets? so pretty. Peg 45
Gattina said…
Yes that is a big change in life when kids leave the nest !
Neet said…
Lovely work there - ~I especially like the tags.
Hugs and Thanks for visiting me earlier.
Neet 29
Hi Arnoldo!! Your tags are beautiful, and I can't thank you enough for sharing them with us. Have a blessed week, my friend.
Word Art Wednesday
Sharon Madson said…
Arnoldo, thank you for sharing the verses that comfort and give strength! The word of God is wonderful! My husband and I got throught that time in our lives, and God gave us many blessings during that time, too! So prepare for blessings, too! What great projects you have shared, too. Have a great WOYWW! # 28
Ali H said…
Hope everything works out for the best for you - he moves in mysterious ways after all ! Ali #15
Chrysalis said…
Lovely art work, and inspiring Scripture - thanks for sharing. Happy WOYWW, Chris # 23
Hi Arnoldo, thanks for the visit.
Life is not always easy as you know and there may be difficult times ahead but if you remain positive everything will turn out for the best. Your daughters obviously have their heads screwed on the right way and I am sure they will be successful in whatever they choose to do.
I think it is always worse for the parents as the house must seem very quiet now but be reasured, they will be back Lol! and probably with another sooner or later. Be happy, Angela x
Unknown said…
The Bluebells on the silent auction tags reminded me of Scotland. Both tags are likely worth their weight in gold they are so beautifully done.

Thank you for posting your beautiful art with us this week during our 153rd challenge at Word Art Wednesday. We're looking for a Guest Designer for the Month of November. Please include the letters GDT after your name when you enter the challenge if you are interested. Carole Robb Bisson
Anonymous said…
Love the cards with the blue bonnets. An empty nest is stressful, even painful at times, but our kids need to fly:) Don't stress about finances. One of God's names is Jehovah jireh - God is my provider - He'll give your family somehow a way to pay it:)
a little MELANCHOLY would be understandable!

ROG, ABC Wednesday
Lmkazmierczak said…
Enjoy that empty nesting....before long it will be filled again♪ http://lauriekazmierczak.com/maple-leaves/
VonnyK said…
Love you art and even though it can be a little tough at times, I'm sure you are super proud of your lovely family.
Have a great week.
Von #19
Having an empty nest is hard. You and your wife will only grow closer. Love the Halloween art!!!
Faye said…
Love your art and your scriptural "musings".
Giggles said…
Start giving things away doesn't matter what it is. Whether you bake cookies for an old person or give something you aren't using to someone who will. Clean closets and purge...it's the best way to create abundance...works every single time here!! Love your faith and wonderful Halloween artwork! All the best to you my friend!

Hugs and prayers!
Linda Kunsman said…
Hello Arnoldo! You have chosen some very fine and appropriate verses for what you are going through. And yes, that faith will see you through it all. Your tags are really beautiful, and those jack o lanterns- I LOVE them!!!
Wonderful artwork Arnoldo!
Wishing the very best for your family and the new situation!
sharon said…
Love the pumpkins they are fun. I so love the verses from Ecclesiastes 3. Great for when uncomfortable changes occur. Blessings for a wonderful new season for you and your wife.
Neesie said…
As usual such wonderful artwork Arnoldo,
The tags are beautiful and such happy Halloween pumpkins will be sure to bring smiles ;D
Best wishes for your life changes.
Fun fun pumpkins. I know about empty nesting. My husband and I are adjusting to our only daughter moving out after graduating from college. It takes a lot of time to do that, and I wish you the best in that adjustment.
Ritu Dua said…
Wow !! What beautiful pieces of art!
Yes I also believe that whatever happens happens for good :)
Enjoy each moment !!

Tracey FK said…
Those are big life changes indeed... the empty nest will take some getting used to I am sure.. but maybe it might also mean a little more time and space for your creativity to flourish even more... I hope you are finding some peace and joy in amongst the stress... thinking of you...xx
peggy gatto said…
You begin a new journey, you are on the right path.
Love your pumpkins!
Shoshi said…
Thank you for sharing the faith-building Bible verses, Arnoldo. Whenever one experiences a change in one's life, it is easy to start worrying about the future - I know I have been, especially lately, with our elderly Mum with us, my health problems, and my hubby recently retiring so we'll now be on a lower income. I need to remind myself daily that the Lord will continue to provide all that we need, as He has always done in the past, and that worrying is a total waste of time and energy!!

Happy belated WOYWW,
Shoshi #32
Shoshi said…
Thanks for your return visit, Arnoldo, and for your good wishes re my health. The last two or three days I've been feeling better, and as you will see from my latest two posts, I've been quite busy creatively!

Hope you are having a nice weekend.

Shoshi #32
Annie Claxton said…
Belated WOYWW greetings from Norfolk England Arnoldo! I love your jolly jank-o-lanterns, they look really cheerful and full of character. I wish you and your family all the best during this period of adjustment - I know from experience that it can be a difficult time, but I am sure the strength of your family and your faith will see you through. See you again soon :o) Annie C #76
Linda said…
Superb project. You have a lovely blog. Warm greetings from Montreal, Canada.
Beccalite said…
Loving your pumpkins, they are fab and fit our theme perfectly.

Thank you for coming over and joining in with us at Rhedd's Creative Spirit.

Great Big Huge Hugs

== Attached: crystal structures ==
<<<
[1]
A geometry-optimized Y2Zr4Sb3C3 structure. Source: the Open Quantum Materials Database, functional PBE.

## Properties
volume = 463 Å³/cell
space-group type = C2/c
total energy = -192.05 eV per cell
total magnetic moment = 0.021 μB/cell

a b c (Å): 6.0692 6.0692 14.9416
angles (deg): 101.82 101.82 60.06
Element x y z (fractional)
Y (0.0324, 0.8705, 0.5956)
Y (0.1295, 0.9676, 0.9044)
Y (0.8705, 0.0324, 0.0956)
Y (0.9676, 0.1295, 0.4044)
Zr (0.1951, 0.3563, 0.0825)
Zr (0.3007, 0.4769, 0.4175)
Zr (0.3563, 0.1951, 0.5825)
Zr (0.4769, 0.3007, 0.9175)
Zr (0.5231, 0.6993, 0.0825)
Zr (0.6437, 0.8049, 0.4175)
Zr (0.6993, 0.5231, 0.5825)
Zr (0.8049, 0.6437, 0.9175)
Sb (0.0848, 0.2853, 0.7511)
Sb (0.2853, 0.0848, 0.2511)
Sb (0.4516, 0.5484, 0.7500)
Sb (0.5484, 0.4516, 0.2500)
Sb (0.7147, 0.9152, 0.7489)
Sb (0.9152, 0.7147, 0.2489)
C (0.0000, 0.5000, 0.5000)
C (0.1741, 0.6515, 0.0000)
C (0.3485, 0.8259, 0.5000)
C (0.5000, 0.0000, 0.0000)
C (0.6515, 0.1741, 0.5000)
C (0.8259, 0.3485, 0.0000)


[2]
A geometry-optimized Zr3SbC2 structure. Source: the Open Quantum Materials Database, functional PBE.

## Properties
volume = 197 Å³/cell
space-group type = P6_3/mmc
total energy = -106.15 eV per cell
total magnetic moment = 0.005 μB/cell

a b c (Å): 3.4070 3.4070 19.6047
angles (deg): 90.00 90.00 120.00
Element x y z (fractional)
Zr (0.0000, 0.0000, 0.0000)
Zr (0.0000, 0.0000, 0.5000)
Zr (0.3333, 0.6667, 0.1312)
Zr (0.3333, 0.6667, 0.3688)
Zr (0.6667, 0.3333, 0.6312)
Zr (0.6667, 0.3333, 0.8688)
Sb (0.0000, 0.0000, 0.2500)
Sb (0.0000, 0.0000, 0.7500)
C (0.3333, 0.6667, 0.5712)
C (0.3333, 0.6667, 0.9288)
C (0.6667, 0.3333, 0.0712)
C (0.6667, 0.3333, 0.4288)


[3]
A geometry-optimized ScTaCSe2 structure. Source: the Open Quantum Materials Database, functional PBE.

## Properties
volume = 99 Å³/cell
space-group type = P3m1
total energy = -38.57 eV per cell
total magnetic moment = 0.003 μB/cell

a b c (Å): 3.3445 3.3445 10.1956
angles (deg): 90.00 90.00 120.00
Element x y z (fractional)
Sc (0.0000, 0.0000, 0.0000)
Ta (0.6667, 0.3333, 0.7557)
C (0.3333, 0.6667, 0.8658)
Se (0.0000, 0.0000, 0.5808)
Se (0.6667, 0.3333, 0.1846)


[4]
A geometry-optimized Tb3ScC2Se2 structure. Source: the Open Quantum Materials Database, functional PBE.

## Properties
volume = 157 Å³/cell
space-group type = P3m1
total energy = -54.59 eV per cell
total magnetic moment = 0.009 μB/cell

a b c (Å): 3.7166 3.7166 13.1098
angles (deg): 90.00 90.00 120.00
Element x y z (fractional)
Tb (0.0000, 0.0000, 0.0000)
Tb (0.0000, 0.0000, 0.3070)
Tb (0.3333, 0.6667, 0.5140)
Sc (0.3333, 0.6667, 0.8071)
C (0.6667, 0.3333, 0.4112)
C (0.6667, 0.3333, 0.8993)
Se (0.0000, 0.0000, 0.6697)
Se (0.3333, 0.6667, 0.1540)


[5]
A geometry-optimized TmSc4C2Se structure. Source: the Open Quantum Materials Database, functional PBE.

## Properties
volume = 150 Å³/cell
space-group type = P-6m2
total energy = -57.41 eV per cell
total magnetic moment = 0.458 μB/cell

a b c (Å): 3.4420 3.4420 14.6144
>>>

Becca xxx
Beth Niquette said…
I adore your quirky pumpkins--what fun personalities you gave them! But my favorites are the blue flowers...they bring back feelings from childhood. Thank you.
Christine said…
Your beautifully painted and lettered bluebonnet tags caught my eye at WAW. Thank you for sharing the scripture from Ecclesiastes. My son is a senior and has been accepted at TAMU for next fall. We are struggling with some of the same issues in our family. Thanks for sharing your art and your faith.